Proquess' Story: Chapter Thirteen

A New Strain



Shishayair didn't look up from his work as his daughter slipped into the hot forge chamber he'd appropriated for himself on the world Cy Dragonstake shared. It was dragon-sized, for the most part, but there was only just enough room for the both of them. ::Yes, Kae-Ryss?::

"I discovered something I thought you might want to know about."

Young Kae-Ryss was a fount of such things-- things that he 'might want to know about'-- especially now that she had matured and had started teleporting more reliably. She was an excellent spy and collector of information, enjoyed traveling almost more than being tied to the hive, and was undeniably loyal. Among other important things, she'd been the one to share with him, and her sister, about Dark's clutch. ::And what might that be?:: he asked her.

"The Abstract Destiny is having another biosynth that might interest your bond."

Hmm. Shishayair paused to consider this, one head glancing at his impassive offspring, who gazed just as impassively back. One gazed off thoughtfully into space and the rest remained fixed on the metal he'd been carefully twisting into its proper shape. It was starting to cool now, in need of another reheating. 

The last time they'd been involved with the Abstract Destiny the results had been less than satisfactory. Greolis Tah was a complete waste of a heartbeat, and if it hadn't been for Mu-Lin's irrational attachment to the creature and his slight ability to make Proquess be firmer in her opinions, he would have corrected the universe's error in creating him. Actually, their even earlier trip to that particular ship hadn't even been all that profitable: Ominous wasn't entirely useless, but her fawning was annoying, and Alladross himself was a menace who Shishayair would have loved to be rid of if he could. Uecoss hadn't seen fit to leave the hive yet, however, so he remained, taking delight in tormenting the lesser hive-members and irritating the better ones.

::Why do you think this synth might turn out in a more agreeable fashion than the last?:: he asked, the rest of his heads looking up, now, and fixing Kae-Ryss with four stares.

Rather than looking cowed, one of her own heads actually smirked at him. That was one reason he respected her: she was hard to intimidate. "Doctor Schroeder has created a new species-- or, more accurately, a new breed of an existing species."

Shishayair went back to his metal, reheating it slowly with a careful thought. His ability to control the heat of objects, within a certain degree, was one of the admittedly few reasons he'd finally settled on this for a part-time profession. ::And this interests me, why?::

The smirk widened. "Because this species is a new strain of xenodragon."

Shishayair paused again, and his daughter looked smug that she had given him cause to think. ::What do you know about this 'new strain' of xenodragon?:: he asked. Given the other things the Abstrast Destiny had produced, he was a little wary about what the "good doctor" might have done to his bond's species.

"They haven't released much information," Kae-Ryss admitted. "What they have said is that they are still hive-minded and will only bond, not sponsor, and that though they can still be protectively violent, they are not inherently cruel or predatory, like true xenodragons."

The page is interrupted by records of crystals:
+++
Record 1
The following is a DFT calculation (PBE-GGA) of a relaxed SrBe2Te crystal.

```
4
Lattice="4.464 0.000 0.000 0.000 4.706 0.000 0.000 0.000 4.765" Properties=species:S:1:pos:R:3 pbc="T T T"
Sr 0.000 0.000 0.000
Be 1.100 2.353 2.383
Be 3.364 2.353 2.383
Te 2.232 2.353 0.000
```

Results
Symmetry = No. 47



Record 2
The following is a DFT calculation (PBE-GGA) of a relaxed SrBeTe2 crystal.

```
4
Lattice="2.108 1.217 7.274 -2.108 1.217 7.274 0.000 -2.434 7.274" Properties=species:S:1:pos:R:3 pbc="T T T"
Sr 0.000 0.000 0.000
Be 0.000 0.000 10.910
Te 0.000 0.000 5.045
Te 0.000 0.000 16.775
```

Results
Symmetry = No. 166



Record 3
The following is a DFT calculation (PBE-GGA) of a relaxed SrBeTe crystal.

```
6
Lattice="4.414 0.000 0.000 2.172 4.033 0.000 1.052 0.017 9.608" Properties=species:S:1:pos:R:3 pbc="T T T"
Sr 0.000 0.000 0.000
Sr 3.232 1.316 5.553
Be 2.147 1.803 2.038
Be 4.341 2.152 2.057
Te 3.185 4.006 3.395
Te 5.435 2.716 7.477
+++

Frowning thoughtfully, Shishayair nodded. That didn't seem like too much of a change, and not a terrible one, either.

"The firstborn is white," Kae-Ryss added slyly.

Shishayair snorted at her. ::That means very little, child,:: he told her sternly. ::Color has little bearing on true personality, as I have tried so hard to teach Proquess-- and apparently have failed to teach my offspring.::

Kae-Ryss didn't seem to have taken the rebuke for what it was, smiling unconcernedly at him, but then, that probably hadn't been her thought on the subject of color to begin with. She was, he expected, partly showing him that color meant less to the new strain of xenodragons than it did to the old, and partly trying to seduce him to her idea by likening this firstborn to his own bond. She was a clever girl, after all-- she was the smartest of his offspring thus far, and he expected she might remain so-- and knew him as well as anyone was ever likely to. And apparently she really wanted him to at least look into this hatching.

::Very well, I will visit this ship and biosynth and see what there is to see,:: he acquiesced. ::After I finish this piece,:: he added quellingly when she perked up. Just a little, barely noticeable as she actively tried to control her expressions, but all four sets of ears did twitch upwards, and one tail gave a single wag. ::The ship will still be there tomorrow.::

"Let me know when you go," Kae-Ryss suggested.

::If I didn't know better,:: Shishayair drawled as he went back to his shaping, now that the metal was hot enough and Kae-Ryss wasn't likely to surprise him again, ::I'd say you were the one interested in this synth, for yourself.::

"I am merely curious about it," she assured him quickly. "And I thought that perhaps your bond would benefit from the company of her own kind, if they were not typical specimens."

He did note, however, that one head had turned aside, as if embarrassed. It was difficult sometimes, he knew, to keep expression from giving one away when one had four separate expressions to try and control. Shishayair had much more practice at it than his daughter, of course, so he was much better at it. ::Of course,:: he replied blandly. ::Go on, then. I'll let you know when I'm finished here.::

"Thank you, Father," Kae-Ryss said, bowing all four heads before escaping the forge, her fur already sticking to her skin from the heat. Shishayair always managed to keep his own body cool enough while he worked to not look quite so unsightly, though he unfortunately couldn't help the sooty smudges he got now and then. A good bath after every trip here usually solved that, however, and as much as he despised getting dirty and tired, the money it brought in was useful, and he had to admit that it was good to have something to do besides babysitting the hive or wandering aimlessly, hoping to cause some havoc. He still had time to cause havoc and babysit-- though really, nearly everyone was grown up now, so it was more like annoying-dragon-sitting than babysitting-- but he also had funds to pay for their apartment on Star City and occasionally bribe people. Kae-Ryss's contributions were appreciated, as well.

As were her nuggets of information, for the most part. This time... well, Shishayair wasn't going to make any decisions without investigating further, himself, and that was going to have to wait until tomorrow.




Chapter Fourteen



Background from Background Paradise